Conan exiles is dead already

conan exiles is dead already


>last 30 days


what did they do to lose that many players?

Not update it

I fell for this meme, I hope future developments can save it, I really love their ideas for a magic system

I'm glad I didn't buy it not going to buy that playerunknown bullshit either

playeruknowns is going to be great tho

"is going to be" doesn not translate into "it will be"

People just need to admit the Battle Royale genre is boring and gay as fuck.

What kind of fuck names a game after their forum username

At the end of the day, people playing it doesn't matter. The devs still made a lot of money off of it.

sid meyer

Called it on my stream and never bought it. It's a fucking meme streamers streamed for cheap views.

As. Fucking. Always.

Expect a 3 to 4 month waiting time between patches and in between those patches small minor bug fixes.

>Called it on my stream

wow, you called it on your stream that 2 people watched?

reminds me of another game that was based in the Conan universe and also developed by funcom

more alive than battleborn for sure

Between two parts of the text: materials data >
'''
No. 1
Starting from the PBE geometry in Alexandria, the XRD peak list of K4GeSe4O4 was computed for Cu Kα X-rays.
Kinematic intensities with the Lorentz-polarization factor, no thermal factor.

Structure:
Cell: 7.4619 8.6162 12.5850 Å, 91.04 107.04 109.23°
Element x y z (fractional)
K (0.0099, 0.4254, 0.1854)
K (0.0622, 0.2973, 0.5073)
K (0.2580, 0.1147, 0.2894)
K (0.3257, 0.2049, 0.9969)
K (0.6743, 0.7951, 0.0031)
K (0.7420, 0.8853, 0.7106)
K (0.9378, 0.7027, 0.4927)
K (0.9901, 0.5746, 0.8146)
Ge (0.4524, 0.7910, 0.2396)
Ge (0.5476, 0.2090, 0.7604)
Se (0.1801, 0.7983, 0.0888)
Se (0.3284, 0.9420, 0.7883)
Se (0.3710, 0.7598, 0.4319)
Se (0.4349, 0.4448, 0.7841)
Se (0.5651, 0.5552, 0.2159)
Se (0.6290, 0.2402, 0.5681)
Se (0.6716, 0.0580, 0.2117)
Se (0.8199, 0.2017, 0.9112)
O (0.0759, 0.8522, 0.7010)
O (0.1797, 0.5704, 0.4026)
O (0.2572, 0.9011, 0.4378)
O (0.3431, 0.3757, 0.1782)
O (0.6569, 0.6243, 0.8218)
O (0.7428, 0.0989, 0.5622)
O (0.8203, 0.4296, 0.5974)
O (0.9241, 0.1478, 0.2990)

Principal peaks in the range 10 to 90 degrees two-theta, low angle first:
two_theta	intensity
13.25	80
13.96	100
14.85	52
17.08	70
22.07	80
22.35	53
25.02	97
27.56	68
28.11	57
33.34	86

=====

No. 2
Starting from the PBE geometry in Alexandria, the XRD peak list of LaZnCd11 was computed for Cu Kα X-rays.
Kinematic intensities with the Lorentz-polarization factor, no thermal factor.

Structure:
Cell: 7.6308 7.6308 7.5998 Å, 98.56 98.56 134.09°
Element x y z (fractional)
La (0.0000, 0.0000, 0.0000)
Zn (0.5000, 0.5000, 0.5000)
Cd (0.0000, 0.0000, 0.5000)
Cd (0.0000, 0.5000, 0.0000)
Cd (0.0094, 0.3569, 0.3547)
Cd (0.2939, 0.5058, 0.7813)
Cd (0.3569, 0.0094, 0.3547)
Cd (0.4942, 0.7061, 0.2187)
Cd (0.5000, 0.0000, 0.0000)
Cd (0.5058, 0.2939, 0.7813)
Cd (0.6431, 0.9906, 0.6453)
Cd (0.7061, 0.4942, 0.2187)
Cd (0.9906, 0.6431, 0.6453)

Principal peaks in the range 10 to 90 degrees two-theta, low angle first:
two_theta	intensity
30.03	26
30.79	25
31.00	33
35.03	49
35.28	42
35.76	39
35.90	62
36.14	100
39.69	42
40.61	40

=====

No. 3
Starting from the PBE geometry in Alexandria, the XRD peak list of Pm2Y5TmSc was computed for Cu Kα X-rays.
Kinematic intensities with the Lorentz-polarization factor, no thermal factor.

Structure:
Cell: 10.5504 10.5504 10.2968 Å, 90.00 90.00 149.57°
Element x y z (fractional)
Pm (0.1108, 0.8892, 0.5000)
Pm (0.1168, 0.8832, 0.9206)
Pm (0.8832, 0.1168, 0.4206)
Pm (0.8892, 0.1108, 0.0000)
Y (0.0156, 0.9844, 0.1998)
Y (0.2681, 0.7319, 0.5207)
Y (0.2998, 0.7002, 0.8853)
Y (0.3658, 0.6342, 0.2075)
Y (0.4831, 0.5169, 0.9255)
Y (0.5169, 0.4831, 0.4255)
Y (0.6342, 0.3658, 0.7075)
Y (0.7002, 0.2998, 0.3853)
Y (0.7319, 0.2681, 0.0207)
Y (0.9844, 0.0156, 0.6998)
Tm (0.4046, 0.5954, 0.6381)
Tm (0.5954, 0.4046, 0.1381)
Sc (0.1896, 0.8104, 0.2046)
Sc (0.8104, 0.1896, 0.7046)

Principal peaks in the range 10 to 90 degrees two-theta, low angle first:
two_theta	intensity
17.42	7
27.05	20
27.68	8
30.97	26
32.35	100
34.85	8
35.95	15
51.94	8
57.69	14
62.52	8

=====
'''
Back to the text >

sid meyer made good games though

It honestly makes sense for him, anyone that has played Arma battle Royale knows who he is since his name is plastered all over that mode. If it was just called battlegrounds it would just be another shitty battle Royale game, adding his name off it adds some recognition to it that it's being made by someone that at least used to know what they are doing.

Maybe if they had released a finished game instead of that obnoxious pay once and get updates but the game isn't done format.

So we recently had a resurgence of hacks from the 90s resurfacing and making shit games. Now we'll have hacks from 3 years ago doing that.

>another shitty Battle Royale game
You can't separate shitty and Battle Royale. This cancer genre is the new zombie game, it worked alright as a kid but Doesn't translate well to standalone, much like another high profile game released in 2013 that remains in alpha.

Excuse me, user is the best streamer I've ever seen you faggot.

its the only "minecraft for adults" worth a lick 2bh m8s

>I fell for this meme

dumb cuck, if i could be funcom i would just abandon game and focus on another scam which people like you would buy ;)

just like dayz/h1z1/culling (dead meme game)/ark/rust (added 7 weeks cooldown on store items which you bought to sell them with profit now all profit is fucking gone, fuck you garry you cunt i just lost 20 euros)

Please name 10 battle royale games because you seem to think a thousand of these get released at a time seeing how you're comparing it to zombie games.

Battle Royale is the new DayZ, or at least poised to be.
You can have a similar effect as of that with DayZ as Battle Royale, adjusted to a smaller amount of time.
H1Z1 picked up Battle Royale much faster than Bohemia picked up DayZ.
Battle Royale has more limited appeal than zombies, but it is still a flash in the pan. Retards think this type of game is heavily competitive, and ear the same shit over and over. Just because isn't a game mode directly called battle Royale (there seems to be some copyright fuckery on this end, or at least attempts to avoid it, what with H1Z1 literally renaming their BR to King of the Kill) doesn't mean it is the same shit.
Battle Royale is going to be the next DayZ styled zombie survival game.

Websites showing stats to people who don't know what they are looking at are always useless, well aside from making money from ads.

Almost every game loses this kind of population over the first few months, aside from games that hide their numbers, bloat with korean free access players or just lie about them ofc *cough*overwatch*cough*

I'm too lazy to go check but Ark sold 4 million copies on steam, what % are active on steamcharts?

You have no idea what you talking about retard. The numbers come straight from steam api
you cant "hide" your numbers

Does Conan Exiles actually have any decent PvE or is it just a tribal nigger version of Rust that's trying to "compete" with ARK?

I know ARK has had player drops but CE died really fucking quick, what's so bad about it?

being this dumb

You can if you don't launch on steam or have alternate versions that aren't on it.

What's with PCfags falling for shitty early access scams, everytime I check steam top sellers there's at least 2 or 3 early access survival shit there

>Battle Royale genre is boring and gay as fuck.
only because the current games are all shit

you are fucking retarded